Sunday, September 30, 2007
Today at church, had me pulling hair out of my shaved head
Just as she picked up the phone, a man advanced up to me quickly and was asking for money and help, so he could get a shower and something to eat, which rattled me a bit since I'm not such a good multitasker, especially for unexpected things. I regained my composure on the phone and finished up my conversation, and then spoke with him. He told me that he has been living in the bushes over by the freeway, and that some people had assaulted him a while ago and his shoulder was dislocated, and he needed my help as a brother in God. He pulled off his shirt so I could look at it and it didn't look good. The skin was all right, but underneath, the musculature and skeletal structure were pretty fouled up. I asked him if it was OK to touch his shoulder, he replied affirmatively, but he recoiled away at the slightest touch (I'm not sure how much was emotional and how much physical, but obviously there were issues he needed to get resolved.) He needed assistance getting his shirt back on and buttoned as well.
I gave him some money and told him he really needed to get to the ER to have it looked at, and that I had to get back inside to usher (it was really rattling to me that I was supposed to be inside really soon to pass the plate, and wasn't sure exactly when that was happening). I got back in with about a little time to spare, and noticed that he had followed and come in through a side door and sat in the back row among the other parishioners. As I was getting composed and gaining understanding of the greater context of the situation, it was all too frustrating that I had opted for the middle way* and now his welfare depended on the people he was sitting next to. I spoke to the other usher and explained about how I needed to go directly to work after the service, and could she put him in touch with the services we had in place for when someone comes calling like this?
Her response was a bit like what I suspected. We don't have a system or procedure in place for this kind of help. The person next to him would be able to find out and hopefully help. He got up and left before the end of the service and I'm not sure how much assistance was offered.
Quantum chemistry results, kept here for reference:
____________
# 1
# C13H30F2NO5Sr

A molecular structure, C13H30F2NO5Sr (ωB97M-V/def2-TZVPD, the OMol25 dataset).

Last column: natural (NBO) charge in e.
CARTESIAN COORDINATES (ANGSTROEM)
Sr 2.290 0.898 0.494  1.861
C -2.682 1.019 -0.912  -0.632
C -2.420 0.506 0.519  0.113
C -3.719 -0.078 1.081  -0.395
C -4.017 -1.493 0.637  -0.395
C -2.836 -2.389 0.912  -0.401
C -1.552 -1.847 0.304  0.118
N -1.367 -0.467 0.576  -0.212
O -0.139 -0.010 0.140  -0.917
C -1.595 -2.184 -1.229  -0.647
C -0.395 -2.660 0.872  -0.591
C -2.009 1.718 1.358  -0.601
H -1.830 1.581 -1.302  0.213
H -3.482 1.780 -0.892  0.182
H -2.983 0.234 -1.597  0.195
H -4.551 0.595 0.865  0.199
H -3.566 -0.127 2.169  0.195
H -4.318 -1.484 -0.430  0.184
H -4.974 -1.817 1.066  0.196
H -3.023 -3.415 0.586  0.199
H -2.741 -2.412 2.009  0.198
H -0.676 -1.836 -1.706  0.218
H -2.434 -1.711 -1.735  0.192
H -1.671 -3.264 -1.411  0.184
H -0.206 -2.363 1.913  0.212
H 0.550 -2.496 0.351  0.210
H -0.625 -3.730 0.867  0.182
H -2.591 2.606 1.097  0.181
H -0.947 1.891 1.197  0.247
H -2.178 1.537 2.425  0.196
F 3.183 1.792 2.659  -0.962
F 4.541 1.902 -0.040  -0.961
C 1.993 4.030 -0.582  -0.104
C 1.239 3.289 -1.649  -0.086
O 1.867 1.994 -1.704  -0.756
O 1.745 3.426 0.666  -0.738
H 1.713 5.092 -0.627  0.157
H 3.053 3.962 -0.858  0.225
H 1.346 3.790 -2.616  0.162
H 0.177 3.167 -1.410  0.180
H 1.436 1.460 -2.377  0.478
H 1.689 4.086 1.358  0.501
C 3.771 -1.845 -1.012  -0.087
C 4.410 -1.722 0.361  -0.099
O 3.509 -1.228 1.349  -0.732
O 3.268 -0.591 -1.463  -0.733
H 2.961 -2.587 -0.972  0.160
H 4.537 -2.185 -1.719  0.166
H 5.250 -1.025 0.330  0.226
H 4.769 -2.730 0.592  0.161
H 3.210 -1.972 1.876  0.484
H 3.020 -0.687 -2.385  0.476

Results
E_HOMO (eV): -2.93
Electronic energy (Ha): -1174.79600
Net charge: -1
Multiplicity: 1

=====

# 2
# C13H30F7N5O13S4

A molecular structure, C13H30F7N5O13S4 (ωB97M-V/def2-TZVPD, the OMol25 dataset).

Last column: Mulliken charge in e.
CARTESIAN COORDINATES (ANGSTROEM)
C -4.273 1.042 -3.365  -1.266
C -4.256 1.195 -1.874  0.895
O -4.427 2.167 -1.222  -0.427
N -3.886 -0.033 -1.088  1.115
H -3.973 -0.833 -1.714  -0.039
H -3.028 0.156 -0.700  -0.204
C -4.932 -0.327 -0.105  -0.937
H -3.392 0.560 -3.629  0.253
H -4.450 1.936 -3.997  0.390
H -4.894 0.199 -3.710  0.367
H -5.875 -0.388 -0.608  0.398
H -4.987 0.481 0.631  0.409
H -4.635 -1.254 0.432  0.232
C 3.846 4.569 0.754  -1.115
C 4.155 3.389 1.755  0.784
O 5.062 3.368 2.581  -0.611
N 3.273 2.312 1.737  -0.068
H 2.522 2.340 1.081  0.067
H 4.399 0.702 1.145  -0.013
C 3.192 1.421 2.893  -1.199
H 4.049 5.462 1.316  0.369
H 2.848 4.512 0.346  0.327
H 4.606 4.426 -0.008  0.265
H 4.134 0.941 3.158  0.456
H 2.611 0.574 2.574  0.374
H 2.835 1.893 3.822  0.337
C 0.983 -3.488 -0.285  -1.594
C 1.013 -2.015 -0.493  0.858
O 0.075 -1.307 -0.220  -0.704
N 2.102 -1.583 -1.072  0.030
H 2.764 -2.327 -1.201  0.202
H -0.918 0.233 0.143  0.429
C 2.289 -0.237 -1.601  -0.602
H -0.076 -3.807 -0.398  0.313
H 1.421 -3.579 0.707  0.361
H 1.592 -4.049 -0.993  0.420
____________
Here the text continues:
The toughest part for me was that our service was about community, family, Ohana (the Hawaiian word for the family of community), and was titled "No One Left Behind." I was collecting the offering and thinking of what we were collecting it for, if not to be able to help him. (I recognize here that we do need to raise money to reinforce the building so its safe in case of an earthquake. Presently, if there were a sizable earthquake during a service, there could be 200 casualties. I also recognize that there are many other programs that need financing, ranging from countering oppressions, and other forms of community outreach beyond services for the poor/homeless.)
*As should be clear from the story, I hardly feel myself absolved in any way. The middle way to me here was as if from the JC parable where the guy gets beaten up by robbers and left at the side of the road. The pious people all walk by and do nothing. The Samaritan takes him to the inn, feeds him, and tells the innkeeper to put it on his tab. I gave the man some money and left him to fend for himself with it.
When people are sleeping at the side of the highway with broken shoulders, I think its high-time we all realize that the government is barely providing for the welfare of the people, if at all. Who shall take up the slack? And when is the government going to stop taxing us at these high rates, if they're no longer providing for social welfare and education (I'm reminded here of the Oakland school kids who stand outside the grocery stores to sell this or that, so that they can have books...). I want that money for the churches, schools, and non-profits.
lyrics: Fu Manchu, The Action is Go.
colors: clear as water
mood: how do you suppose?
chant/prayer/mantra: peace begins with community.
pax hominibus,
Labels: Bible, Christianity, homelessness, massage, our mission, religious community, theology
Outdoor Advertising in Sao Paulo, Brazil and in Oakland, USA
Meanwhile, in Oakland.... Yesterday, we were driving west across the Bay Bridge, and it was around 7:00 in the evening. The new dynamic LCD-style billboard was SO AMAZINGLY BRIGHT that I had to cover up my rear view mirror with my arm. It was way brighter than any SUV or pickup with its brights would've been. I thought they got that "oops, too bright" issue ironed out. When we came home later that evening, it was less bright again. But it certainly was still outdoor advertising.
I don't care much for commercial advertising, even if some of the proceeds go toward a good cause. My reasons are too complex to go into this morning before I have my coffee.
lyrics: Click and Clack on Car-Talk
colors: yellow, blue, red
mood: sleepy. i woke up in the middle of the night for an hour or two, and had a weird dream shortly before waking up.
chant/prayer/mantra: tell the truth.
pax hominibus,
Labels: Capitalism, dream recollection, media, politics, technology
Friday, September 28, 2007
Jnana / Gnanam
Jnana, in my understanding, means body-spirit-connected wisdom, but those words don't quite suffice.
From the link just above, "Jnana is the awakened, superconscious state (karana chitta) working within the ordinary experience of the world, flowing into daily life situations. It is the fruition of the progressive stages of charya, kriya and yoga in the Saiva Siddhanta system of spiritual unfoldment."
Does that mean that if I'm touching a non-alcoholic beer bottle to my teeth, and introducing a feeling that I'd long forgotten (eew, bottle against teeth), I'm experiencing Jnana? Heh. I still need to look up "charya, kriya, and yoga in the Saiva Siddhanta system" before I can be sure whether we're talking about the same type of experiencing.
lyrics: I'm the train they call the City of New Orleans. - Willie Nelson
colors: brown, white, yellow
mood: surrounded by a mess of books
chant/prayer/mantra: may wisdom reside here.
pax hominibus,
Labels: Islam
four assignments/challenges for good people/ministers in a time of war
I keep forgetting the specifics of this, so I'm going to copy the important elements up here (these are excerpts from the sermon for the opening chapel of this school year, by Dr. Rebecca Ann Parker, the president of our school):
First of these assignments…we must conceptualize ministry as engagement with transpersonal social forces , as well as care for individual lives.
Assignment two: we must tear off the deceitful masks of war that allow violence to continue unchecked , and especially we have an obligation and responsibility to unmask the way religion provides violence with sacred face – calling war holy, and killing or being killed a form of love.
Third Assignment: we must remember all the dead, and weep with those who weep.
Fourth and final assignment for now: We must center our hearts and minds in love for life, daring to bring the colors of life and the energies of passionate caring into sites of devastation within, among, and around us.
The link to the whole sermon is above.
pax hominibus,
agape to everyone,
"Strephon kissed me in the spring, Robin in the fall,
But Colin only looked at me And never kissed at all.
Strephon's kiss was lost in jest, Robin's lost in play,
But the kiss in Colin's eyes Haunts me night and day."
-Sara Teasdale
Once in a while, the time will come
To surrender everything you have to give
Once in a while, the time will come
To surrender everything you have to give
-Flaming Lips, "Superhumans"
Wednesday, September 26, 2007
"What do they expect us to do, float in the air?"
The headline story "Homeless Smackdown in Golden Gate Park" explains how the SF Chronicle newspaper staff made it their business to drum up support for rousting the homeless out of their encampments in the park. While I'm all for not having them live in the park in those conditions, I'm dead-set against harassing them, and "legally" taking their scant possessions and tossing them from the park into the streets of the town. When these human beings are kicked out of the public park and onto the sidewalks, then ticketed and harassed for loitering on those sidewalks, its apparent (to anyone who thinks/cares), that they are squeezed out entirely.
Data records from another source follow:
+++
a) Molecular formula: C2H3BrO2
Method: DFT, the ωB97M-V functional and the def2-TZVPD basis

Structure (XYZ):
```
8
C2H3BrO2 (the ωB97M-V functional and the def2-TZVPD basis)
Br -2.3710 -0.1289 -0.0614
O 0.9355 1.3611 0.2231
O 1.7673 0.3043 -0.1427
C -0.4541 -0.5433 0.3861
C 0.4471 0.3496 -0.4451
H -0.0712 -0.4816 1.4635
H -0.2391 -1.5692 -0.0414
H -0.0146 0.7081 -1.3821
```

Values from the calculation:
Structure (SMILES)   BrCC1OO1
Frontier orbital gap   11.07 eV

***

b) Molecular formula: C2H3BrO2
Method: DFT, the ωB97M-V functional and the def2-TZVPD basis

Structure (XYZ):
```
8
C2H3BrO2 (the ωB97M-V functional and the def2-TZVPD basis)
Br 2.0694 0.4840 -0.0893
O -1.3040 2.0096 0.0614
O -2.1332 0.8559 -0.1141
C 0.1391 0.1032 -0.5101
C -0.8732 0.7521 0.3501
H -0.9837 -0.0909 2.5402
H 0.1695 -1.0379 -0.6045
H 0.1266 0.3408 -1.5962
```

Values from the calculation:
Frontier orbital gap (spin up / spin down)   9.77 / 9.35 eV

***

Which structure is the least stable? The one labeled b).

***

a) Molecular formula: C3H4ClFO
Method: DFT, the ωB97M-V functional and the def2-TZVPD basis

Structure (XYZ):
```
10
C3H4ClFO (the ωB97M-V functional and the def2-TZVPD basis)
Cl -0.8144 1.9156 -0.1233
F 2.3508 -0.0816 -0.2556
O -1.7615 -0.7760 -0.4940
C -0.5877 -0.6608 0.3504
C 1.4252 0.8441 -0.1976
C 0.1745 0.5398 0.0718
H -1.6531 -1.6084 -0.9447
H 0.0662 -1.5174 0.4678
H 1.8401 1.8349 -0.2304
H -1.0401 -0.4902 1.3556
```

Values from the calculation:
Structure (SMILES)   OC/C(Cl)=C\F
Frontier orbital gap   10.08 eV

***

b) Molecular formula: C3H4ClFO
Method: DFT, the ωB97M-V functional and the def2-TZVPD basis

Structure (XYZ):
```
10
C3H4ClFO (the ωB97M-V functional and the def2-TZVPD basis)
Cl 1.9232 -0.6554 -0.8065
F 1.7482 0.4159 1.4751
O -0.1065 1.9674 0.3523
C -0.1894 0.7711 0.2223
C 0.9779 -0.1840 0.6922
C -1.0985 -0.0629 -0.5559
H -1.4288 -1.0464 -0.0599
H 0.6424 -1.2288 1.0450
H -1.9799 0.4502 -0.8551
H -0.4887 -0.4270 -1.5094
```

Values from the calculation:
Structure (SMILES)   CC(=O)[C@H](F)Cl
Frontier orbital gap   10.56 eV

***

Which structure is the least stable? The one labeled a).

***

a) Molecular formula: C2H10N2O3
Method: DFT, the ωB97M-V functional and the def2-TZVPD basis

Structure (XYZ):
```
17
C2H10N2O3 (the ωB97M-V functional and the def2-TZVPD basis)
O -0.4093 0.9575 2.3449
O -2.4217 -0.8050 1.1631
O 2.8981 -0.0674 -1.0202
N 0.8985 -0.4830 -0.0274
N -0.2796 0.9437 -1.4903
C 0.2448 -0.4068 -1.3011
C 2.2478 -0.4072 -0.0152
H 0.5410 -0.3351 0.9640
H 2.8644 -0.7189 0.8566
+++
Here the page continues:
From the story:
The articles also generated a flood of letters to the Chronicle's editorial pages. The majority of those who chose to provide their opinions on the matter via this particular bully pulpit were hostile to homeless people.... Few of the letter writers acknowledged the logic and anguished expressed by the homeless man who plaintively asked: "What do they expect us to do, float in the air?"Ah, that you could, dear friend.
What I really want is to establish a system of dormitory/ashram/hostel - style housing units (100 people/unit) where we can have ~four people to a room with:
- clean cots/beds/bunks
- decent inexpensive meals (accepting donations from restaurants and grocery stores)
- clean clothes (accepting donations from anyone)
- laundry
- career counseling*
- mental health counseling*
- a health-care ombudsman*
- multi-faith-skilled chaplaincy*
- a computer room with Internet access (for email and education)
- massage therapy*
- vegetable gardens
To do this project to the scope that I want to see it happen (each community has one or more of these -- enough to accommodate the entirety of those without homes in the community) would be a herculean effort for an individual or small-scale institution, but I see "herculean" as relative. If all of the congregations in each community banded together to create something like this, it could be done. If the government would either 1) revitalize the department of HUD, or 2) stop taking inordinate amount of money from us for taxes for war so that parishioners and good secular people could put that money toward bettering their communities, it could be done.
With large-scale community support, or federal funding, or a sizable grant from a foundation, I think something like this could get off the ground. Ideally, the services provided at these locations would become community-wide services, and could be sponsored by (and available to) the local congregations, non-profit organizations, and even local corporations.
I've got a mesa boogie amp at home, it hardly. Ever. Talks.
The switch on my favorite microphone is almost. Always. Off.
colors: pink
mood: plaintive
chant/prayer/mantra: what was that bit Jesus was saying about "if God provides for these birds, how much more will He provide for you"? God might wanna be provident, but what about when the unkind people come and arrest you for trying to accept that providence?
pax hominibus,
Thursday, September 20, 2007
Jeff Soto's Art
With the surreality, the pastel-plastic classic treatment, and the rainbow ribbons, it rules.
pax hominibus,
Monday, September 10, 2007
Untolerable Racism in Jena Louisiana
Please take a minute to follow the link and add your name to the petition, even if you can't spare the financial support.
[pasted section follows]
Dear friend,
I just learned about a case of segregation-era oppression happening
today in Jena, Louisiana. I signed onto's campaign
for justice in Jena, and wanted to invite you to do the same.
Last fall in Jena, the day after two Black high school students sat
beneath the "white tree" on their campus, nooses were hung from the
tree. When the superintendent dismissed the nooses as a "prank," more
Black students sat under the tree in protest. The District Attorney
then came to the school accompanied by the town's police and demanded
that the students end their protest, telling them, "I can be your best
friend or your worst enemy... I can take away your lives with a stroke
of my pen."
A series of white-on-black incidents of violence followed, and the DA
did nothing. But when a white student was beaten up in a schoolyard
fight, the DA responded by charging six black students with attempted
murder and conspiracy to commit murder.
It's a story that reads like one from the Jim Crow era, when judges,
lawyers and all-white juries used the justice system to keep blacks in
"their place." But it's happening today. The families of these young
men are fighting back, but the story has gotten minimal press.
Together, we can make sure their story is told and that the Governor
of Louisiana intervenes and provides justice for the Jena 6. It starts
now. Please join me:
The noose-hanging incident and the DA's visit to the school set the
stage for everything that followed. Racial tension escalated over the
next couple of months, and on November 30, the main academic building of
Jena High School was burned down in an unsolved fire. Later the same
weekend, a black student was beaten up by white students at a party.
The next day, black students at a convenience store were threatened by a
young white man with a shotgun. They wrestled the gun from him and ran
away. While no charges were filed against the white man, the students
were later arrested for the theft of the gun.
That Monday at school, a white student, who had been a vocal supporter
of the students who hung the nooses, taunted the black student who was
beaten up at the off-campus party and allegedly called several black
students "nigger." After lunch, he was knocked down, punched and
kicked by black students. He was taken to the hospital, but was
released and was well enough to go to a social event that evening.
Six Black Jena High students, Robert Bailey (17), Theo Shaw (17),
Carwin Jones (18), Bryant Purvis (17), Mychal Bell (16) and an
unidentified minor, were expelled from school, arrested and charged
with second-degree attempted murder. The first trial ended last
month, and Mychal Bell, who has been in prison since December, was
convicted of aggravated battery and conspiracy to commit aggravated
battery (both felonies) by an all-white jury in a trial where his
public defender called no witnesses. During his trial, Mychal's
parents were ordered not to speak to the media and the court
prohibited protests from taking place near the courtroom or where the
judge could see them.
Mychal is scheduled to be sentenced on July 31st, and could go to jail
for 22 years. Theo Shaw's trial is next. He will finally make bail
this week.
The Jena Six are lucky to have parents and loved ones who are fighting
tooth and nail to free them. They have been threatened but they are
standing strong. We know that if the families have to go it alone,
their sons will be a long time coming home. But if we act now, we can
make a difference.
Join me in demanding that Louisiana Governor Kathleen Blanco get
involved to make sure that justice is served for Mychal Bell, and that
DA Reed Walters drop the charges against the 5 boys who have not yet
gone to trial.
[end of pasted section]
[edit- I just saw on NME that Mos Def is also speaking out against this injustice.]
lyrics: "All the federales say they could've had him any day. They only let him slip away out of kindness I suppose." Willie Nelson, The Ballad of Pancho and Lefty
colors: no time for that.
mood: tired.
chant/prayer/mantra: Keep your dreams in sight.
pax hominibus,
Monday, September 3, 2007
Percentage of World Population by Religious Affiliation
2.1 billion Christians, 1.5 billion Muslims, 900 million Hindus. And there are more Unitarian Universalists than Rastafarians, but not by much.
lyrics: Instrumental this evening: Miles Davis' "On the Corner"
colors: yellow, green, blue
mood: zuzzy.
chant/prayer/mantra: let me/you/us by whole one day, and soon.
pax hominibus,
The Real Iraq Situation, from an American Infantry Perspective
Lots of valuable diplomatic and military strategic comments in the article, but this one rang the hardest:
"The most important front in the counterinsurgency, improving basic social and economic conditions, is the one on which we have failed most miserably. Two million Iraqis are in refugee camps in bordering countries. Close to two million more are internally displaced and now fill many urban slums. Cities lack regular electricity, telephone services and sanitation. "Lucky" Iraqis live in communities barricaded with concrete walls that provide them with a sense of communal claustrophobia rather than any sense of security we would consider normal. In an environment where men with guns rule the streets, engaging in the banalities of life has become a death-defying act.Four years into our occupation, we have failed on every promise, while we have substituted Baath Party tyranny with a tyranny of Islamist, militia and criminal violence. When the primary preoccupation of average Iraqis is when and how they are likely to be killed, we can hardly feel smug as we hand out care packages. As an Iraqi man told us a few days ago with deep resignation, "We need security, not free food."
In the end, we need to recognize that our presence may have released Iraqis from the grip of a tyrant, but that it has also robbed them of their self-respect. They will soon realize that the best way to regain dignity is to call us what we are - an army of occupation - and force our withdrawal."
And I don't want to sound self-centered, but when can WE in America get back to a life of normalcy? When our congress people traded in our civil rights for secret inspections, we didn't want that. When war was declared, and with it a surge in the war against truth (and for propaganda) in media, we didn't want that. When can we have control of our f^cking tax dollars back, so they can go toward health services, infrastructure, and education, instead of war-based activities overseas? We don't want war overseas, we want a country with stability.
In causing the instabilities in Iraq, the Bush administration and their friends have also caused instability in the USA, and probably with trading partners as well. And why is the dollar so weak nowadays?
We loathe what you and your friends have done, George W. Bush. I believe I'm speaking for a LOT of people in the USA, and I believe that its not my job to prove that. Rather, its somebody else's job to try and prove that there could possibly be a majority of people in the USA who would support a destructive agenda such as yours, without the lies and half-truths continually propagated in the media required to support it.
lyrics: "The last thing I need the first thing this morning, is to have you walk out on me." -Willie Nelson
colors: blue
mood: so-so.
chant/prayer/mantra: peace. ad infinitum.
pax hominibus,